Page 19 of All We Are

Scowling, I will myself to relax. I’m well aware I’m being ridiculous.

“JJ,” he says softly.

“Don’t call me that,” I say reflexively.

He sighs. “Jeremy.”

Don’t call me that either.

See? Very, very ridiculous.

“So is this really how it’s going to be now?”

“Don’t know what you’re talking about.”

I don’t realize my steps have picked up speed until a hand shoots out, clutching mine and squeezing, halting me in place, right along with that stupid organ in my chest that can’t seem to get the memo it should be fluttering for literallyanyonebut him.

Whirling toward him, I rip my hand from his and glare at him. “What?” The word wrenches out of me, shocking both of us with its intensity. He rears back, eyes wide.

Here the text breaks off for calculated molecules
/*
Molecular formula: C6H10N3O
Method: DFT, ωB97M-V with the def2-TZVPD basis set

Its energy above the lowest of the compared OMol25 structures with the same formula, charge and spin is 102.7 kcal/mol. The HOMO energy comes out at -12.58 eV. As for the lowest unoccupied orbital energy: -3.772 eV. The charge is +1. The orbital gap is 8.810 eV.

The geometry in XYZ format:
```
20
C6H10N3O (ωB97M-V with the def2-TZVPD basis set)
C 2.805 -0.884 -1.001
C 1.458 -0.752 -0.994
C 3.569 -0.027 -0.133
C 0.812 0.233 -0.258
C -1.749 0.454 1.156
C -1.504 0.261 -0.329
N 2.939 0.860 0.631
N 1.590 1.009 0.433
N -1.712 1.286 -1.110
O -1.521 -0.859 -1.044
H 3.267 -1.601 -1.614
H 0.959 -1.477 -1.681
H 4.601 -0.231 0.270
H -0.954 1.008 1.462
H -2.669 1.074 1.267
H -1.948 -0.486 1.784
H 1.325 1.916 0.866
H -1.917 1.043 -2.110
H -2.166 2.196 -0.919
H -1.415 -1.732 -0.740
```

Here are the natural (NBO) charges for atoms 1 to 8, given in e:
1 C -0.14
2 C -0.27
3 C 0.01
4 C 0.03
5 C -0.68
6 C 0.72
7 N -0.19
8 N -0.32

----------

ORCA calculation (ωB97M-V with the def2-TZVPD basis set) on the ion C7H9N4O3S with charge +1.

The geometry in XYZ format:
```
24
Properties=species:S:1:pos:R:3:forces:R:3:lowdin_charge:R:1
C -0.36316 1.87330 -0.67579 2.0 -1.5 2.0 0.0541
C 0.01122 3.18222 -0.92621 1.7 2.1 1.0 0.0575
C 0.34098 1.51456 0.54589 -1.5 1.7 -2.5 -0.2018
C 0.84797 3.59317 0.16338 -2.6 -1.2 -2.4 -0.1795
C 0.47129 0.28887 1.24912 -1.7 -0.9 -1.0 0.0104
C -0.46303 -2.95714 0.49405 -0.2 0.8 -1.5 -0.6475
C -1.03278 -3.30752 -1.98833 0.0 2.6 -1.0 -0.0297
N -0.22540 -0.69488 0.75317 1.5 0.9 1.1 0.0328
N -0.10334 -1.94068 1.32649 -0.1 -0.3 -0.1 -0.0110
N 1.24245 4.91661 0.51840 0.7 2.4 0.3 -0.3074
N -0.81353 -2.56594 -0.75863 1.2 -1.1 2.8 -0.0180
O 0.76077 5.82209 -0.18009 0.6 -1.5 0.7 0.0996
O 2.00682 5.10517 1.46470 -0.9 -0.9 -1.0 0.1219
O 0.98796 2.60291 1.00097 0.9 -0.5 1.5 0.1430
S -0.47424 -4.59461 1.03472 1.1 0.7 1.8 0.9327
H -0.87501 1.11830 -1.27311 0.0 0.7 0.1 0.1189
H -0.11068 3.89072 -1.74517 -0.6 -0.6 0.1 0.1345
H 1.05853 0.27579 2.14411 0.4 -0.3 0.5 0.1436
H -1.57224 -2.51159 -2.64840 0.3 -2.2 1.0 0.1425
H -1.50254 -4.21446 -1.73410 -1.2 -0.9 -0.3 0.0634
H -0.11120 -3.53328 -2.52200 0.3 0.0 0.3 0.0951
H 0.37467 -2.06706 2.23310 -0.5 -0.1 -0.8 0.1649
H -0.62911 -1.58133 -0.76093 -0.3 0.8 -0.8 0.0937
H 0.17362 -4.21519 2.28467 -1.1 -0.9 -1.9 -0.0138
```
Forces are in eV/Å.

Properties
* charge: +1
* HOMO energy: -12.2727 eV
* multiplicity: 1
* ΔE to the lowest compared entry with this formula, charge and spin: 0.0 kcal/mol
* lowest unoccupied orbital energy: -0.1759 Ha

----------

Formula: C35H39N5O7PtSSeSi
Source: the OMol25 dataset
Level of theory: wB97M-V/def2-TZVPD

Cartesian coordinates (Å):
Pt (-0.39325, 1.49157, -1.10131)
N (3.71300, -4.51953, 3.85008)
C (3.52041, -3.16134, 3.51690)
C (2.68209, -2.35731, 4.28552)
C (2.50304, -1.02082, 3.96082)
C (3.16612, -0.47491, 2.87388)
C (4.03273, -1.25734, 2.12343)
C (4.20331, -2.59538, 2.43969)
*/
The text goes on

I stare at him, lips pursed, begging him with my eyes to just drop it.

People grumble and roll their eyes as they have to step around us. Hell, we stopped dead center in the street in the middle of a fucking parade. People pass by on either side of us, and yet with the way we stare at each other right now, it’s as if no one else exists here but us.

The whole city could be on fire for all I care.

Mason’s throat dips with his hard swallow.

“We’re gonna get left behind.”

“So what? We’ll find them at the end.”

I give a little shake of my head and start to continue walking, but he reaches out, grabbing my shoulder this time, and stopping me. “You promised me we’d be okay. That you could—”

I drop my hands at my side and cut him a searing look. “Yeah, and I said I needtime.”

His eyes tighten. “It’s been months.” I see more than hear the words, the way his lips frame each syllable. The way that stupid lip ring winks back at me.

Months foryou. I scoff, the bitterness gnawing at my insides.

He has no clue. No fucking clue at all. And I know it’s mostly my fault. I should’ve been completely honest with him when I had the chance. But no, instead I took the coward’s way out and just gave him a little bit of my truth. Just enough to get him to listen and respect my wishes.

It’s been four months. By all accounts, itshouldhave been enough time. More than enough time. So I guess I can’t blame him for thinking shit’s all fine and dandy now.

If anything, I’m just pissed off with myself.

“I’m sorry,” he says.

“Stop apologizing,” I beg, my voice cracking. I wave a hand at our surroundings. “All you’ve done for the greater part of this year is fucking apologize.”


I glare at him and he bites his lip, sucking his lip ring into his mouth.

Stifling a groan, I tear my gaze away, looking at everything and nothing, least of all him. “Come on,” I mutter, and start walking again.

He’s quick to catch up to me, but this time he keeps a good foot between us, though it doesn’t escape my notice how determined he is to stick close.

“Why are you so intent on shadowing me?” I ask, keeping my gaze trained ahead. I see a familiar set of space buns appear, higher than they should be, silhouetted black by the sun.